Job:
Quote the data further below from the line with "-0.9152 2.1650" to the end exactly.
Given:
<<<
91
Properties=species:S:1:pos:R:3:forces:R:3:lowdin_charge:R:1 method="wB97M-V/def2-TZVPD" homo_lumo_gap_ha=0.22105 e_homo_ev=-10.67 lumo_ev=-4.7 total_charge=+1
I 2.9117 -0.9496 0.6820 -0.2 0.1 -0.1 0.7571
P 1.4835 0.4249 -0.6446 0.0 -0.2 0.2 0.6203
C 0.4827 1.4809 0.4071 0.2 0.5 0.3 -0.4049
C -0.2083 2.6071 -0.3783 -0.2 -0.4 -0.2 -0.2110
C -0.9152 2.1650 -1.6717 -0.1 0.3 0.0 -0.1905
C -2.4318 2.1245 -1.5945 0.1 0.2 0.2 -0.1314
N -2.9623 1.0266 -0.8011 0.1 0.5 -0.3 -0.0993
C -4.2751 0.9247 -0.4271 0.0 -1.0 0.6 -0.0579
C -4.4153 -0.2321 0.3156 -0.2 0.2 -0.1 -0.0646
C -3.1549 -0.8487 0.3913 0.6 0.5 -0.4 -0.0783
C -2.2726 -0.0464 -0.3112 -0.7 -0.7 0.6 -0.1403
H 0.7426 -0.4756 -1.4235 0.1 -0.1 -0.1 -0.0252
H 2.2748 1.1981 -1.5035 0.1 -0.1 0.0 0.0203
H -0.2101 0.8736 0.9827 -0.1 -0.2 -0.1 0.0880
H 1.1771 1.9139 1.1289 0.2 0.0 0.0 0.0881
H 0.5185 3.3810 -0.6038 0.1 0.1 0.0 0.1193
H -0.9448 3.0455 0.2893 0.0 0.2 0.1 0.1060
H -0.6908 2.8962 -2.4434 0.1 0.0 -0.1 0.1274
H -0.5406 1.2148 -2.0542 0.0 -0.1 -0.1 0.0486
H -2.7504 3.0635 -1.1430 -0.1 0.1 0.1 0.1332
H -2.8471 2.1159 -2.5985 0.0 -0.2 -0.2 0.1178
H -5.0465 1.6201 -0.6880 0.0 0.4 -0.3 0.1087
H -5.3107 -0.6151 0.7692 -0.2 0.1 0.0 0.0841
H -2.8825 -1.7594 0.8908 -0.1 -0.2 0.1 0.0952
H -1.2294 -0.2390 -0.4301 0.1 0.2 -0.4 0.0496
C 5.7295 1.7736 -0.5867 -0.1 -0.1 -0.1 -0.1337
O 4.8341 1.1892 -1.5467 -0.3 0.2 0.1 -0.1836
H 6.0842 2.7130 -0.9997 0.0 0.0 -0.1 0.0862
H 5.2162 1.9687 0.3583 0.1 0.0 0.0 0.0708
H 6.5761 1.1150 -0.4032 0.0 0.1 0.1 0.0657
H 4.5457 0.3522 -1.1780 0.3 -0.2 -0.1 -0.0540
C 3.3160 -1.9936 4.7928 -0.2 0.2 -0.2 -0.1592
O 2.5707 -0.7896 4.9644 0.2 -0.1 0.1 -0.1337
H 3.5604 -2.3811 5.7767 0.0 0.0 0.0 0.0847
H 2.7231 -2.7391 4.2544 0.1 -0.1 0.0 0.0762
H 4.2467 -1.7999 4.2491 0.0 -0.1 0.0 0.0658
H 2.3551 -0.4523 4.0923 -0.1 0.1 0.0 0.0371
C 6.4253 -2.3833 -2.1759 -0.1 0.0 0.1 -0.1425
O 5.3901 -3.1976 -1.6189 0.1 0.0 0.0 -0.1347
H 7.1203 -3.0495 -2.6774 0.0 0.0 0.0 0.0834
H 6.0260 -1.6762 -2.9069 0.0 0.0 0.0 0.0776
H 6.9635 -1.8370 -1.3966 0.0 0.0 0.0 0.0743
H 4.7673 -2.6221 -1.1727 0.0 0.0 0.0 -0.0153
C -0.1724 -2.5533 6.2719 -0.2 -0.2 -0.1 -0.1557
O -1.0328 -3.0952 5.2687 0.1 0.1 0.0 -0.1332
H 0.2320 -1.6193 5.8933 0.0 0.0 0.0 0.0617
H -0.7228 -2.3544 7.1941 0.1 0.0 0.0 0.0796
H 0.6547 -3.2372 6.4805 0.0 0.1 0.1 0.0757
H -1.3891 -3.9225 5.6019 0.0 0.0 0.0 0.0703
C -1.7855 -0.3816 -4.3873 -0.3 0.0 0.1 -0.1412
O -3.0787 0.2045 -4.3065 0.3 0.0 0.1 -0.1049
H -1.4097 -0.2264 -5.3948 0.0 0.0 0.0 0.0806
H -1.0951 0.0927 -3.6789 0.1 -0.1 -0.1 0.0546
H -1.8244 -1.4559 -4.1887 0.1 0.0 -0.1 0.0712
H -3.4092 0.0535 -3.4146 -0.2 -0.1 0.0 0.0633
C -0.8462 -3.0104 -1.5243 0.2 -0.1 0.1 -0.1171
O 0.4614 -2.7805 -2.0786 -0.1 0.4 0.0 -0.1607
H -1.5767 -2.6463 -2.2390 0.0 0.0 0.0 0.0739
H -1.0147 -4.0728 -1.3474 0.0 0.0 0.0 0.0952
H -0.9605 -2.4634 -0.5883 -0.1 -0.1 0.1 0.0530
H 1.1077 -3.1313 -1.4588 0.0 -0.2 -0.1 0.0611
C 0.3006 -3.1650 -6.3196 0.0 0.0 0.3 -0.1502
O -0.1636 -4.0121 -5.2741 0.0 0.1 0.0 -0.1248
H -0.0968 -3.5442 -7.2566 0.0 0.0 0.0 0.0824
H -0.0530 -2.1397 -6.1758 0.0 0.0 -0.1 0.0557
H 1.3925 -3.1652 -6.3738 0.0 0.0 -0.1 0.0784
H 0.1925 -3.6801 -4.4436 0.0 0.0 0.0 0.0421
C -0.3919 5.2682 2.3029 -0.1 0.2 -0.1 -0.1520
O -1.3976 5.5133 1.3253 0.1 -0.2 0.0 -0.1290
H -0.0962 4.2258 2.1952 0.0 0.0 0.0 0.0554
H 0.4822 5.9033 2.1400 0.0 0.0 0.1 0.0822
H -0.7689 5.4180 3.3163 0.0 0.0 0.0 0.0839
H -1.6793 6.4284 1.4054 -0.1 0.0 0.0 0.0795
C -7.3443 -2.4238 3.1279 0.2 0.0 0.0 -0.1486
O -6.0503 -2.2454 2.5540 -0.1 0.0 0.0 -0.1375
H -8.0706 -2.0552 2.4089 0.0 0.0 0.0 0.0789
H -7.5479 -3.4789 3.3246 -0.1 0.0 0.0 0.0765
H -7.4473 -1.8564 4.0558 -0.1 0.0 0.0 0.0770
H -5.4021 -2.5689 3.1845 0.0 0.0 0.0 0.0721
C 8.2513 0.8519 2.8271 -0.1 -0.1 0.0 -0.1365
O 7.3496 0.2729 1.8787 0.0 0.0 0.1 -0.1471
H 8.6176 1.7807 2.3995 0.0 0.0 0.0 0.0804
H 7.7452 1.0706 3.7697 0.0 0.0 0.0 0.0778
H 9.0989 0.1912 3.0165 0.0 0.0 0.0 0.0807
H 7.0367 -0.5534 2.2554 0.0 -0.1 0.0 0.0659
>>>
Response:
C -0.9152 2.1650 -1.6717 -0.1 0.3 0.0 -0.1905
C -2.4318 2.1245 -1.5945 0.1 0.2 0.2 -0.1314
N -2.9623 1.0266 -0.8011 0.1 0.5 -0.3 -0.0993
C -4.2751 0.9247 -0.4271 0.0 -1.0 0.6 -0.0579
C -4.4153 -0.2321 0.3156 -0.2 0.2 -0.1 -0.0646
C -3.1549 -0.8487 0.3913 0.6 0.5 -0.4 -0.0783
C -2.2726 -0.0464 -0.3112 -0.7 -0.7 0.6 -0.1403
H 0.7426 -0.4756 -1.4235 0.1 -0.1 -0.1 -0.0252
H 2.2748 1.1981 -1.5035 0.1 -0.1 0.0 0.0203
H -0.2101 0.8736 0.9827 -0.1 -0.2 -0.1 0.0880
H 1.1771 1.9139 1.1289 0.2 0.0 0.0 0.0881
H 0.5185 3.3810 -0.6038 0.1 0.1 0.0 0.1193
H -0.9448 3.0455 0.2893 0.0 0.2 0.1 0.1060
H -0.6908 2.8962 -2.4434 0.1 0.0 -0.1 0.1274
H -0.5406 1.2148 -2.0542 0.0 -0.1 -0.1 0.0486
H -2.7504 3.0635 -1.1430 -0.1 0.1 0.1 0.1332
H -2.8471 2.1159 -2.5985 0.0 -0.2 -0.2 0.1178
H -5.0465 1.6201 -0.6880 0.0 0.4 -0.3 0.1087
H -5.3107 -0.6151 0.7692 -0.2 0.1 0.0 0.0841
H -2.8825 -1.7594 0.8908 -0.1 -0.2 0.1 0.0952
H -1.2294 -0.2390 -0.4301 0.1 0.2 -0.4 0.0496
C 5.7295 1.7736 -0.5867 -0.1 -0.1 -0.1 -0.1337
O 4.8341 1.1892 -1.5467 -0.3 0.2 0.1 -0.1836
H 6.0842 2.7130 -0.9997 0.0 0.0 -0.1 0.0862
H 5.2162 1.9687 0.3583 0.1 0.0 0.0 0.0708
H 6.5761 1.1150 -0.4032 0.0 0.1 0.1 0.0657
H 4.5457 0.3522 -1.1780 0.3 -0.2 -0.1 -0.0540
C 3.3160 -1.9936 4.7928 -0.2 0.2 -0.2 -0.1592
O 2.5707 -0.7896 4.9644 0.2 -0.1 0.1 -0.1337
H 3.5604 -2.3811 5.7767 0.0 0.0 0.0 0.0847
H 2.7231 -2.7391 4.2544 0.1 -0.1 0.0 0.0762
H 4.2467 -1.7999 4.2491 0.0 -0.1 0.0 0.0658
H 2.3551 -0.4523 4.0923 -0.1 0.1 0.0 0.0371
C 6.4253 -2.3833 -2.1759 -0.1 0.0 0.1 -0.1425
O 5.3901 -3.1976 -1.6189 0.1 0.0 0.0 -0.1347
H 7.1203 -3.0495 -2.6774 0.0 0.0 0.0 0.0834
H 6.0260 -1.6762 -2.9069 0.0 0.0 0.0 0.0776
H 6.9635 -1.8370 -1.3966 0.0 0.0 0.0 0.0743
H 4.7673 -2.6221 -1.1727 0.0 0.0 0.0 -0.0153
C -0.1724 -2.5533 6.2719 -0.2 -0.2 -0.1 -0.1557
O -1.0328 -3.0952 5.2687 0.1 0.1 0.0 -0.1332
H 0.2320 -1.6193 5.8933 0.0 0.0 0.0 0.0617
H -0.7228 -2.3544 7.1941 0.1 0.0 0.0 0.0796
H 0.6547 -3.2372 6.4805 0.0 0.1 0.1 0.0757
H -1.3891 -3.9225 5.6019 0.0 0.0 0.0 0.0703
C -1.7855 -0.3816 -4.3873 -0.3 0.0 0.1 -0.1412
O -3.0787 0.2045 -4.3065 0.3 0.0 0.1 -0.1049
H -1.4097 -0.2264 -5.3948 0.0 0.0 0.0 0.0806
H -1.0951 0.0927 -3.6789 0.1 -0.1 -0.1 0.0546
H -1.8244 -1.4559 -4.1887 0.1 0.0 -0.1 0.0712
H -3.4092 0.0535 -3.4146 -0.2 -0.1 0.0 0.0633
C -0.8462 -3.0104 -1.5243 0.2 -0.1 0.1 -0.1171
O 0.4614 -2.7805 -2.0786 -0.1 0.4 0.0 -0.1607
H -1.5767 -2.6463 -2.2390 0.0 0.0 0.0 0.0739
H -1.0147 -4.0728 -1.3474 0.0 0.0 0.0 0.0952
H -0.9605 -2.4634 -0.5883 -0.1 -0.1 0.1 0.0530
H 1.1077 -3.1313 -1.4588 0.0 -0.2 -0.1 0.0611
C 0.3006 -3.1650 -6.3196 0.0 0.0 0.3 -0.1502
O -0.1636 -4.0121 -5.2741 0.0 0.1 0.0 -0.1248
H -0.0968 -3.5442 -7.2566 0.0 0.0 0.0 0.0824
H -0.0530 -2.1397 -6.1758 0.0 0.0 -0.1 0.0557
H 1.3925 -3.1652 -6.3738 0.0 0.0 -0.1 0.0784
H 0.1925 -3.6801 -4.4436 0.0 0.0 0.0 0.0421
C -0.3919 5.2682 2.3029 -0.1 0.2 -0.1 -0.1520
O -1.3976 5.5133 1.3253 0.1 -0.2 0.0 -0.1290
H -0.0962 4.2258 2.1952 0.0 0.0 0.0 0.0554
H 0.4822 5.9033 2.1400 0.0 0.0 0.1 0.0822
H -0.7689 5.4180 3.3163 0.0 0.0 0.0 0.0839
H -1.6793 6.4284 1.4054 -0.1 0.0 0.0 0.0795
C -7.3443 -2.4238 3.1279 0.2 0.0 0.0 -0.1486
O -6.0503 -2.2454 2.5540 -0.1 0.0 0.0 -0.1375
H -8.0706 -2.0552 2.4089 0.0 0.0 0.0 0.0789
H -7.5479 -3.4789 3.3246 -0.1 0.0 0.0 0.0765
H -7.4473 -1.8564 4.0558 -0.1 0.0 0.0 0.0770
H -5.4021 -2.5689 3.1845 0.0 0.0 0.0 0.0721
C 8.2513 0.8519 2.8271 -0.1 -0.1 0.0 -0.1365
O 7.3496 0.2729 1.8787 0.0 0.0 0.1 -0.1471
H 8.6176 1.7807 2.3995 0.0 0.0 0.0 0.0804
H 7.7452 1.0706 3.7697 0.0 0.0 0.0 0.0778
H 9.0989 0.1912 3.0165 0.0 0.0 0.0 0.0807
H 7.0367 -0.5534 2.2554 0.0 -0.1 0.0 0.0659